[Assignment]
What is needed: find "0.000 0.373" and "0.549)" in the listing further below, and transcribe these two lines and those between.

[Data]
********
# Li2VF6
Calculated powder diffraction line list, a wavelength of 1.5418 Å. Input: a structure optimized by DFT (GGA+U).

Principal peaks in the range 2θ = 15–90°, low angle first:
hkl	d/Å	two_theta	intensity
1 1 0	5.311	16.69	70
0 2 1	4.639	19.13	100
0 4 0	4.177	21.27	87
1 1 1	3.847	23.12	93
0 8 0	2.088	43.33	26
2 0 2	1.976	45.92	57

Cell and atoms:
```
data_Li2VF6
_chemical_formula_sum 'Li8 V4 F24'
_space_group_name_H-M_alt 'C m c m'
_space_group_IT_number 63
_space_group_name_Hall '-C 2c 2'
_cell_length_a 5.602
_cell_length_b 16.706
_cell_length_c 5.579
_cell_angle_alpha 90.00
_cell_angle_beta 90.00
_cell_angle_gamma 90.00
loop_
_atom_site_label
_atom_site_type_symbol
_atom_site_fract_x
_atom_site_fract_y
_atom_site_fract_z
Li1 Li 0.000 0.146 0.250
Li2 Li 0.000 0.150 0.750
V1 V 0.000 0.373 0.250
F1 F 0.000 0.262 0.250
F2 F 0.000 0.479 0.250
F3 F 0.244 0.132 0.518
```

=====

Theoretical powder diffractogram of K4HgPb4 for a wavelength of 1.5418 Å, from the GGA-PBE geometry in Alexandria.

Cell and atoms:
Unit cell a=11.944 b=11.944 c=11.944 alpha=151.66 beta=151.66 gamma=40.51
Fractional coordinates of all 9 atoms:
K (0.115, 0.664, 0.000)
K (0.336, 0.336, 0.451)
K (0.664, 0.115, 0.000)
K (0.885, 0.885, 0.549)
Hg (0.500, 0.500, 0.000)
Pb (0.064, 0.064, 0.559)
Pb (0.495, 0.936, 0.000)
Pb (0.505, 0.505, 0.441)
Pb (0.936, 0.495, 0.000)

Main lines, low angle first (2θ = 10–90°):
2θ/deg	intensity
15.66	29
15.82	50
26.79	92
30.57	35
31.62	93
32.30	100
38.83	36
55.44	34

***

Theoretical powder diffractogram of KHgPd2Pb2 for a wavelength of 1.5418 Å, from the GGA-PBE geometry in Alexandria.

Cell and atoms:
Unit cell a=5.184 b=5.184 c=6.437 alpha=90.00 beta=90.00 gamma=90.00
Fractional coordinates of all 6 atoms:
K (0.000, 0.000, 0.000)
Hg (0.000, 0.000, 0.500)
Pd (0.000, 0.500, 0.500)
Pd (0.500, 0.000, 0.500)
Pb (0.500, 0.500, 0.257)
Pb (0.500, 0.500, 0.743)

Main lines, low angle first (2θ = 10–90°):
2θ/deg	intensity
13.76	72
24.28	46
32.75	100
34.61	77
37.18	25
37.40	26
48.39	68
49.75	28

***

Theoretical powder diffractogram of K2Hg6PtPb for a wavelength of 1.5418 Å, from the GGA-PBE geometry in Alexandria.

Cell and atoms:
Unit cell a=7.955 b=10.012 c=8.327 alpha=90.00 beta=90.00 gamma=90.00
Fractional coordinates of all 20 atoms:
K (0.250, 0.038, 0.247)
K (0.250, 0.462, 0.247)
K (0.750, 0.538, 0.753)
K (0.750, 0.962, 0.753)
Hg (0.038, 0.250, 0.628)
Hg (0.066, 0.750, 0.987)
Hg (0.250, 0.510, 0.803)
Hg (0.250, 0.990, 0.803)
Hg (0.434, 0.750, 0.987)
Hg (0.462, 0.250, 0.628)
Hg (0.538, 0.750, 0.372)
Hg (0.566, 0.250, 0.013)
Hg (0.750, 0.010, 0.197)
Hg (0.750, 0.490, 0.197)
Hg (0.934, 0.250, 0.013)
Hg (0.962, 0.750, 0.372)
Pt (0.250, 0.250, 0.890)
Pt (0.750, 0.750, 0.110)
Pb (0.250, 0.750, 0.593)
Pb (0.750, 0.250, 0.407)

Main lines, low angle first (2θ = 10–90°):
2θ/deg	intensity
15.40	100
17.72	55
27.87	55
32.39	55
35.88	48
36.68	52
41.43	39
45.00	35

***

Theoretical powder diffractogram of KHgPbSe2 for a wavelength of 1.5418 Å, from the GGA-PBE geometry in Alexandria.

Cell and atoms:
Unit cell a=7.270 b=6.038 c=8.246 alpha=90.00 beta=109.88 gamma=90.00
Fractional coordinates of all 10 atoms:
K (0.000, 0.181, 0.250)
K (0.000, 0.819, 0.750)
Hg (0.500, 0.000, 0.000)
Hg (0.500, 0.000, 0.500)
Pb (0.500, 0.416, 0.750)
Pb (0.500, 0.584, 0.250)
Se (0.221, 0.333, 0.983)
Se (0.221, 0.667, 0.483)
Se (0.779, 0.333, 0.517)
Se (0.779, 0.667, 0.017)

Main lines, low angle first (2θ = 10–90°):
2θ/deg	intensity
12.95	100
24.91	32
26.70	55
27.34	27
32.05	43
32.42	26
33.65	36
35.96	26

***

Theoretical powder diffractogram of KHgTe3Pb for a wavelength of 1.5418 Å, from the GGA-PBE geometry in Alexandria.

Cell and atoms:
Unit cell a=9.532 b=4.472 c=10.682 alpha=90.00 beta=102.22 gamma=90.00
Fractional coordinates of all 12 atoms:
K (0.222, 0.250, 0.271)
K (0.778, 0.750, 0.729)
Hg (0.075, 0.250, 0.634)
Hg (0.925, 0.750, 0.366)
Te (0.072, 0.250, 0.903)
Te (0.218, 0.750, 0.540)
Te (0.469, 0.750, 0.177)
Te (0.531, 0.250, 0.823)
********

[Here it is]
V1 V 0.000 0.373 0.250
F1 F 0.000 0.262 0.250
F2 F 0.000 0.479 0.250
F3 F 0.244 0.132 0.518
```

=====

Theoretical powder diffractogram of K4HgPb4 for a wavelength of 1.5418 Å, from the GGA-PBE geometry in Alexandria.

Cell and atoms:
Unit cell a=11.944 b=11.944 c=11.944 alpha=151.66 beta=151.66 gamma=40.51
Fractional coordinates of all 9 atoms:
K (0.115, 0.664, 0.000)
K (0.336, 0.336, 0.451)
K (0.664, 0.115, 0.000)
K (0.885, 0.885, 0.549)